This is a story of how a herd of alpacas changed my prayer life.
While living in Wichita a few years back, I hosted Kate the Couchsurfer. Kate the Couchsurfer was working in Wyoming and WWOOFing on weekends. I introduced her to 24-hour doughnuts and she taught me how to change my car tire in the dark.
What comes next are data records, not part of the text >
-- begin --
Record 1
Diffraction record for CsAuBr3. The X-ray powder pattern is calculated, not measured: it uses DFT lattice parameters and positions (GGA-PBE) and Cu Kα.
Neutral-atom scattering factors, no anomalous dispersion.

Structure:
Unit cell a=8.114 b=8.114 c=8.114 alpha=121.50 beta=121.50 gamma=87.41
Sites, in units of the cell vectors:
Cs  0.250  0.750  0.500
Cs  0.750  0.250  0.500
Au  0.000  0.000  0.000
Au  0.500  0.500  0.000
Br  0.210  0.210  0.000
Br  0.275  0.275  0.551
Br  0.275  0.725  0.000
Br  0.725  0.275  0.000
Br  0.725  0.725  0.449
Br  0.790  0.790  0.000

The 10 most intense peaks (2θ from 15° to 90°), in order of rising 2θ:
15.8 deg, intensity 36.7; 21.9 deg, intensity 100.0; 22.4 deg, intensity 45.2; 27.2 deg, intensity 24.0; 30.5 deg, intensity 47.9; 31.9 deg, intensity 91.9; 39.1 deg, intensity 40.8; 44.7 deg, intensity 62.3; 45.8 deg, intensity 31.6; 56.0 deg, intensity 31.3

=====

Record 2
Diffraction record for CsAuBr3. The X-ray powder pattern is calculated, not measured: it uses DFT lattice parameters and positions (GGA-PBE) and Cu Kα.
Neutral-atom scattering factors, no anomalous dispersion.

Structure:
Unit cell a=5.473 b=5.473 c=5.473 alpha=90.00 beta=90.00 gamma=90.00
Sites, in units of the cell vectors:
Cs  0.000  0.000  0.000
Au  0.500  0.500  0.500
Br  0.000  0.500  0.500
Br  0.500  0.000  0.500
Br  0.500  0.500  0.000

The 10 most intense peaks (2θ from 15° to 90°), in order of rising 2θ:
16.2 deg, intensity 36.1; 23.0 deg, intensity 87.6; 32.7 deg, intensity 100.0; 36.7 deg, intensity 20.4; 40.4 deg, intensity 41.5; 47.0 deg, intensity 72.2; 58.4 deg, intensity 25.0; 63.6 deg, intensity 22.2; 78.1 deg, intensity 32.8; 87.3 deg, intensity 25.6

=====

Record 3
Diffraction record for Cs2GaAuBr6. The X-ray powder pattern is calculated, not measured: it uses DFT lattice parameters and positions (GGA-PBE) and Cu Kα.
Neutral-atom scattering factors, no anomalous dispersion.

Structure:
Unit cell a=7.751 b=7.751 c=7.751 alpha=60.00 beta=60.00 gamma=60.00
Sites, in units of the cell vectors:
Cs  0.250  0.250  0.250
Cs  0.750  0.750  0.750
Ga  0.000  0.000  0.000
Au  0.500  0.500  0.500
Br  0.242  0.242  0.758
Br  0.242  0.758  0.242
Br  0.242  0.758  0.758
Br  0.758  0.242  0.242
Br  0.758  0.242  0.758
Br  0.758  0.758  0.242

The 10 most intense peaks (2θ from 15° to 90°), in order of rising 2θ:
16.2 deg, intensity 16.2; 22.9 deg, intensity 62.9; 28.2 deg, intensity 43.8; 32.7 deg, intensity 100.0; 40.3 deg, intensity 28.9; 46.9 deg, intensity 71.3; 55.6 deg, intensity 17.7; 58.3 deg, intensity 24.5; 78.0 deg, intensity 31.4; 87.1 deg, intensity 24.2

=====

Record 4
Diffraction record for Cs2HgAuBr6. The X-ray powder pattern is calculated, not measured: it uses DFT lattice parameters and positions (GGA-PBE) and Cu Kα.
Neutral-atom scattering factors, no anomalous dispersion.

Structure:
Unit cell a=7.897 b=7.897 c=7.897 alpha=60.00 beta=60.00 gamma=60.00
Sites, in units of the cell vectors:
Cs  0.250  0.250  0.250
-- stop --
After she left, I got to thinking about this weekend WWOOFing deal. WWOOF stands for World Wide Opportunities on Organic Farms. Itâs a volunteer farming opportunity, and an acronym I always have to look up. Kansas has about nine different farms that accept WWOOFers, including one run by the Dominican Sisters of Peace just a couple hours northwest of Wichita. The Dominican Sisters had alpacas, so naturally I needed to visit them. I sent an email off to Sister Terry and several weeks later found myself barreling down a dusty dirt road toward Heartland Farm.
<<<
1.
The following is a theoretical powder diffraction line list of Gd2AlCo2. It was derived from a DFT-relaxed cell (PBE, the Materials Project), using Cu Kα.
Intensities are scaled so that the largest is 100.

The 6 most intense peaks (2θ from 10° to 90°), sorted by position:
- 27.58°, I = 72, (1 1 0)
- 34.78°, I = 100, (1 1 2)
- 35.42°, I = 36, (0 1 3)
- 38.80°, I = 99, (1 0 3)
- 41.09°, I = 41, (1 2 1)
- 68.68°, I = 31, (1 2 5)

Atomic structure:
a b c (Å): 3.986 5.534 8.552
angles (deg): 90.00 90.00 90.00
Space group Immm (No. 71)
Symmetry-distinct sites (fractional):
Gd1 0.000 0.000 0.201 (multiplicity 4)
Al1 0.000 0.500 0.000 (multiplicity 2)
Co1 0.000 0.273 0.500 (multiplicity 4)


2.
The following is a theoretical powder diffraction line list of Gd2Al4CoGe2. It was derived from a DFT-relaxed cell (PBE, the Materials Project), using Cu Kα.
Intensities are scaled so that the largest is 100.

The 6 most intense peaks (2θ from 10° to 90°), sorted by position:
- 27.26°, I = 36, (0 0 6)
- 30.48°, I = 67, (1 1 0)
- 31.38°, I = 57, (1 0 5)
- 31.85°, I = 57, (1 1 2)
- 41.35°, I = 100, (1 1 6)
- 43.65°, I = 58, (2 0 0)

Atomic structure:
a b c (Å): 4.148 4.148 19.628
angles (deg): 90.00 90.00 90.00
Space group I4/mmm (No. 139)
Symmetry-distinct sites (fractional):
Gd1 0.000 0.000 0.184 (multiplicity 4)
Al1 0.000 0.500 0.065 (multiplicity 8)
Co1 0.000 0.000 0.000 (multiplicity 2)
Ge1 0.000 0.000 0.338 (multiplicity 4)


3.
The following is a theoretical powder diffraction line list of Hf6Al2Co. It was derived from a DFT-relaxed cell (PBE, the Materials Project), using Cu Kα.
Intensities are scaled so that the largest is 100.

The 6 most intense peaks (2θ from 10° to 90°), sorted by position:
- 22.54°, I = 25, (1 1 0)
- 34.74°, I = 73, (2 1 0)
- 35.64°, I = 100, (1 1 1)
- 38.08°, I = 46, (2 0 1)
- 39.57°, I = 24, (3 0 0)
- 66.09°, I = 26, (3 2 1)

Atomic structure:
a b c (Å): 7.8896 7.8896 3.2728
angles (deg): 90.00 90.00 120.00
Space group P-62m (No. 189)
Symmetry-distinct sites (fractional):
Hf1 0.0000 0.3987 0.0000 (multiplicity 3)
Hf2 0.0000 0.7492 0.5000 (multiplicity 3)
Al1 0.3333 0.6667 0.5000 (multiplicity 2)
Co1 0.0000 0.0000 0.0000 (multiplicity 1)


4.
The following is a theoretical powder diffraction line list of Hf2Al3Co. It was derived from a DFT-relaxed cell (PBE, the Materials Project), using Cu Kα.
Intensities are scaled so that the largest is 100.

The 6 most intense peaks (2θ from 10° to 90°), sorted by position:
- 21.59°, I = 38, (0 0 2)
- 22.41°, I = 31, (1 0 1)
- 34.30°, I = 100, (1 1 0)
- 38.35°, I = 89, (1 0 3)
- 40.89°, I = 97, (1 1 2)
- 64.12°, I = 40, (2 1 3)

Atomic structure:
a b c (Å): 5.2293 5.2293 8.2324
angles (deg): 90.00 90.00 120.00
Space group P6_3/mmc (No. 194)
Symmetry-distinct sites (fractional):
Hf1 0.3333 0.6667 0.0607 (multiplicity 4)
Al1 0.1658 0.3317 0.7500 (multiplicity 6)
Co1 0.0000 0.0000 0.0000 (multiplicity 2)


5.
>>>
Heartland Farm sprawls over 80 acres of Kansas plains and is home to several Catholic Sisters and a collection of animals, including the worldâs softest alpacas. My weekend at the farm went something like this: Â HERD OF ALPACAS. COMPOSTING TOILET. HERD OF ALPACAS. STRAW BALE HERMITAGE. Â HERD OF ALPACAS. PRAYER SILO. HERD OF ALPACAS. CLIMBING TREES. HERD OF ALPACAS. It was magical. Basically, the Dominican Sisters of Peace at Heartland Farm are everything I ever want to be and more. Plus, I want an alpaca and perhaps a straw bale structure.
Entry 1:
Starting from DFT lattice parameters and positions (PBE), the powder XRD pattern of PaBeNi3 was simulated for CuKα.
Intensities are scaled so that the largest is 100.

Crystal structure
abc: 5.6638 5.6638 9.8120
angles: 90.00 90.00 120.00
Space group P6_3/mmc (No. 194)
Asymmetric unit:
1 Pa 0.0000 0.0000 0.0000 (multiplicity 2)
2 Pa 0.3333 0.6667 0.2500 (multiplicity 2)
3 Be 0.3333 0.6667 0.6419 (multiplicity 4)
4 Ni 0.0000 0.5000 0.0000 (multiplicity 6)
5 Ni 0.1426 0.2852 0.7500 (multiplicity 6)

Largest 8 diffraction maxima, by angle, 10 to 80 degrees two-theta:
hkl	Position (°2θ)	I/Imax
1 0 1	20.24	32
1 0 2	25.68	36
1 1 0	31.59	30
0 0 4	36.64	48
2 0 1	37.81	37
2 0 2	41.15	100
2 1 2	52.79	30
0 0 8	77.90	36



Entry 2:
Starting from DFT lattice parameters and positions (PBE), the powder XRD pattern of PaBe17Ni was simulated for CuKα.
Intensities are scaled so that the largest is 100.

Crystal structure
abc: 7.5778 7.5778 10.9769
angles: 90.00 90.00 120.00
Space group R3m (No. 160, hexagonal axes)
Asymmetric unit:
1 Pa 0.0000 0.0000 0.0000 (multiplicity 3)
2 Be 0.0000 0.0000 0.5553 (multiplicity 3)
3 Be 0.0000 0.0000 0.7498 (multiplicity 3)
4 Be 0.0466 0.3701 0.3196 (multiplicity 18)
5 Be 0.1677 0.3355 0.8316 (multiplicity 9)
6 Be 0.1718 0.3437 0.4915 (multiplicity 9)
7 Be 0.1783 0.3567 0.1372 (multiplicity 9)
8 Ni 0.0000 0.0000 0.3453 (multiplicity 3)

Largest 8 diffraction maxima, by angle, 10 to 80 degrees two-theta:
hkl	Position (°2θ)	I/Imax
1 0 1	15.73	100
0 1 2	21.10	69
1 1 0	23.48	89
0 2 1	28.39	30
1 1 3	34.06	82
2 1 1	37.16	30
1 2 2	39.88	29
3 0 3	48.48	40



Entry 3:
Starting from DFT lattice parameters and positions (PBE), the powder XRD pattern of PaBe2Ni10 was simulated for CuKα.
Intensities are scaled so that the largest is 100.

Crystal structure
abc: 4.6170 11.2707 11.4393
angles: 90.00 90.00 90.00
Space group Fmmm (No. 69)
Asymmetric unit:
1 Pa 0.0000 0.0000 0.0000 (multiplicity 4)
2 Be 0.2500 0.0000 0.2500 (multiplicity 8)
3 Ni 0.0000 0.1075 0.3829 (multiplicity 16)
4 Ni 0.0000 0.1691 0.1775 (multiplicity 16)
5 Ni 0.2500 0.2500 0.0000 (multiplicity 8)

Largest 8 diffraction maxima, by angle, 10 to 80 degrees two-theta:
hkl	Position (°2θ)	I/Imax
0 0 2	15.49	58
0 2 2	22.18	75
0 4 2	35.52	58
1 3 3	38.90	100
1 1 5	44.94	96
0 4 4	45.17	75
2 2 2	45.32	79
1 5 1	45.47	86



Entry 4:
Starting from DFT lattice parameters and positions (PBE), the powder XRD pattern of BeNi2Pb was simulated for CuKα.
Intensities are scaled so that the largest is 100.

Crystal structure
abc: 3.4942 4.4785 7.0313
angles: 90.00 90.00 90.00
Space group Immm (No. 71)
Asymmetric unit:
1 Be 0.0000 0.0000 0.0000 (multiplicity 2)
2 Ni 0.0000 0.5000 0.3025 (multiplicity 4)
3 Pb 0.0000 0.0000 0.5000 (multiplicity 2)

Largest 8 diffraction maxima, by angle, 10 to 80 degrees two-theta:
hkl	Position (°2θ)	I/Imax
0 1 1	23.55	52
1 0 1	28.53	80
0 2 0	40.28	32
1 1 2	41.65	100
0 1 3	43.58	42
1 2 1	50.09	35
2 1 3	70.43	20
1 3 2	74.15	18



Entry 5:
It was Heartland Farm that introduced me to my very first labyrinth. The farmâs labyrinth is mowed in the grass and, if memory serves, its total distance hovers around a mile. Sometime in between climbing a humungous tree and chasing after alpacas, I walked the labyrinth from outer edge to center and back again, and although I found walking and praying to be a peaceful experience, I donât remember ever walking the labyrinth again on subsequent visits to the farm.
Itâs been about a year and a half since I last visited Heartland Farm and it still remains the only place Iâve walked a labyrinth. While Iâve yet to walk another labyrinth, Iâm intrigued by this walking-praying idea and so last week I walked to work while mumbling a mess of Hail Marys, Our Fathers, and exclamations as I tried not to slip on the ice. It wasnât a particularly prayerful experience. I decided to try it again this week and add a little structure to the mix. With a printed copy of the Joyful Mysteries and my very warmest plaid flannel shirt, I wrapped up my workday and started home, saying my Monday rosary as I went.
These walks home have helped me realize that I pray best when incorporating prayer into what otherwise would be a semi-mindless activity, like walking. New goal? Saying one of my three weekly rosaries while walking.
Now if only I had an alpaca to walk with me.